• Job:
Copy the material further down unchanged.

• Entries:
********
1.
Simulated powder diffractogram
Compound: YHoC5
Radiation: Cu Kα (weighted mean of Kα1 and Kα2)
Structure: a GGA-PBE-relaxed structure

Main lines, in order of rising 2θ (2θ = 10–90°):
two_theta  d [Å]  I (rel.)
25.14  3.542  830
27.09  3.292  274
29.47  3.031  361
37.29  2.411  1000
40.46  2.230  327
41.36  2.183  212
49.73  1.834  187
51.60  1.771  151
57.54  1.602  209
59.24  1.560  211

Structure:
Cell: 4.9784 4.9784 4.9784 Å, 127.99 105.00 97.22°
Positions (direct):
Y 0.0000 0.0000 0.0000
Ho 0.4976 0.4976 0.0000
C 0.0274 0.7446 0.2828
C 0.2474 0.7474 0.5000
C 0.4617 0.7446 0.7172
C 0.6378 0.2461 0.3917
C 0.8544 0.2461 0.6083

---

2.
Simulated powder diffractogram
Compound: TmAlAg2O4
Radiation: Cu Kα (weighted mean of Kα1 and Kα2)
Structure: a GGA-PBE-relaxed structure

Main lines, in order of rising 2θ (2θ = 10–90°):
two_theta  d [Å]  I (rel.)
21.31  4.170  208
28.54  3.127  513
33.66  2.663  1000
35.95  2.498  980
39.50  2.281  304
49.46  1.843  354
55.50  1.656  369
58.68  1.573  303
66.53  1.406  276
69.35  1.355  145

Structure:
Cell: 3.1468 3.1468 12.5088 Å, 90.00 90.00 120.00°
Positions (direct):
Tm 0.0000 0.0000 0.0000
Al 0.0000 0.0000 0.5000
Ag 0.3333 0.6667 0.2609
Ag 0.6667 0.3333 0.7391
O 0.3333 0.6667 0.0941
O 0.3333 0.6667 0.4292
O 0.6667 0.3333 0.5708
O 0.6667 0.3333 0.9059

---

3.
Simulated powder diffractogram
Compound: CuAuSe2S2
Radiation: Cu Kα (weighted mean of Kα1 and Kα2)
Structure: a GGA-PBE-relaxed structure

Main lines, in order of rising 2θ (2θ = 10–90°):
two_theta  d [Å]  I (rel.)
11.05  8.006  312
20.34  4.366  342
22.72  3.913  497
24.41  3.646  243
26.87  3.318  228
31.98  2.799  1000
33.58  2.668  625
46.28  1.962  271
47.81  1.902  306
49.52  1.841  245

Structure:
Cell: 4.3711 7.2929 8.0154 Å, 90.00 92.76 90.00°
Positions (direct):
Cu 0.0022 0.2500 0.1588
Cu 0.9978 0.7500 0.8412
Au 0.5000 0.0000 0.5000
Au 0.5000 0.5000 0.5000
Se 0.3950 0.5015 0.1885
Se 0.3950 0.9985 0.1885
Se 0.6050 0.0015 0.8115
Se 0.6050 0.4985 0.8115
S 0.0898 0.7500 0.1276
S 0.1786 0.7500 0.5749
S 0.8214 0.2500 0.4251
S 0.9102 0.2500 0.8724

---

4.
Simulated powder diffractogram
Compound: PaF4
Radiation: Cu Kα (weighted mean of Kα1 and Kα2)
Structure: a GGA-PBE-relaxed structure

Main lines, in order of rising 2θ (2θ = 10–90°):
two_theta  d [Å]  I (rel.)
24.75  3.597  1000
25.37  3.511  498
36.18  2.483  128
43.20  2.094  279
44.33  2.043  538
50.76  1.798  196
56.02  1.641  142
58.50  1.578  120
68.53  1.369  118
69.92  1.345  126

Structure:
Cell: 4.9655 4.9655 5.2176 Å, 90.00 90.00 90.00°
Positions (direct):
Pa 0.0000 0.0000 0.0000
Pa 0.5000 0.5000 0.5000
F 0.1485 0.2656 0.3372
F 0.2344 0.3515 0.8372
F 0.2656 0.8515 0.6628
F 0.3515 0.7656 0.1628
F 0.6485 0.2344 0.1628
F 0.7344 0.1485 0.6628
F 0.7656 0.6485 0.8372
F 0.8515 0.7344 0.3372

---

5.
Simulated powder diffractogram
Compound: ThZr2
Radiation: Cu Kα (weighted mean of Kα1 and Kα2)
Structure: a GGA-PBE-relaxed structure

Main lines, in order of rising 2θ (2θ = 10–90°):
two_theta  d [Å]  I (rel.)
25.97  3.431  253
31.09  2.877  369
33.19  2.699  457
34.54  2.597  704
35.35  2.539  1000
46.11  1.969  248
54.16  1.693  186
60.70  1.526  209
65.02  1.434  215
67.37  1.390  201

Structure:
Cell: 3.2909 5.3988 17.7740 Å, 90.00 90.00 90.00°
Positions (direct):
Th 0.2500 0.2500 0.1972
Th 0.2500 0.7500 0.3032
Th 0.7500 0.2500 0.6968
Th 0.7500 0.7500 0.8028
Zr 0.2500 0.2500 0.5293
Zr 0.2500 0.2500 0.8772
Zr 0.2500 0.7500 0.6224
Zr 0.2500 0.7500 0.9706
Zr 0.7500 0.2500 0.0294
Zr 0.7500 0.2500 0.3776
Zr 0.7500 0.7500 0.1228
Zr 0.7500 0.7500 0.4707

---

6.
Simulated powder diffractogram
Compound: Sm4CI2BrF2
Radiation: Cu Kα (weighted mean of Kα1 and Kα2)
Structure: a GGA-PBE-relaxed structure

Main lines, in order of rising 2θ (2θ = 10–90°):
two_theta  d [Å]  I (rel.)
10.04  8.811  338
11.05  8.004  946
23.85  3.732  285
29.44  3.034  221
30.42  2.938  632
32.39  2.764  1000
34.51  2.599  302
35.67  2.517  233
42.62  2.121  294
47.26  1.923  229

Structure:
********

• Solution:
1.
Simulated powder diffractogram
Compound: YHoC5
Radiation: Cu Kα (weighted mean of Kα1 and Kα2)
Structure: a GGA-PBE-relaxed structure

Main lines, in order of rising 2θ (2θ = 10–90°):
two_theta  d [Å]  I (rel.)
25.14  3.542  830
27.09  3.292  274
29.47  3.031  361
37.29  2.411  1000
40.46  2.230  327
41.36  2.183  212
49.73  1.834  187
51.60  1.771  151
57.54  1.602  209
59.24  1.560  211

Structure:
Cell: 4.9784 4.9784 4.9784 Å, 127.99 105.00 97.22°
Positions (direct):
Y 0.0000 0.0000 0.0000
Ho 0.4976 0.4976 0.0000
C 0.0274 0.7446 0.2828
C 0.2474 0.7474 0.5000
C 0.4617 0.7446 0.7172
C 0.6378 0.2461 0.3917
C 0.8544 0.2461 0.6083

---

2.
Simulated powder diffractogram
Compound: TmAlAg2O4
Radiation: Cu Kα (weighted mean of Kα1 and Kα2)
Structure: a GGA-PBE-relaxed structure

Main lines, in order of rising 2θ (2θ = 10–90°):
two_theta  d [Å]  I (rel.)
21.31  4.170  208
28.54  3.127  513
33.66  2.663  1000
35.95  2.498  980
39.50  2.281  304
49.46  1.843  354
55.50  1.656  369
58.68  1.573  303
66.53  1.406  276
69.35  1.355  145

Structure:
Cell: 3.1468 3.1468 12.5088 Å, 90.00 90.00 120.00°
Positions (direct):
Tm 0.0000 0.0000 0.0000
Al 0.0000 0.0000 0.5000
Ag 0.3333 0.6667 0.2609
Ag 0.6667 0.3333 0.7391
O 0.3333 0.6667 0.0941
O 0.3333 0.6667 0.4292
O 0.6667 0.3333 0.5708
O 0.6667 0.3333 0.9059

---

3.
Simulated powder diffractogram
Compound: CuAuSe2S2
Radiation: Cu Kα (weighted mean of Kα1 and Kα2)
Structure: a GGA-PBE-relaxed structure

Main lines, in order of rising 2θ (2θ = 10–90°):
two_theta  d [Å]  I (rel.)
11.05  8.006  312
20.34  4.366  342
22.72  3.913  497
24.41  3.646  243
26.87  3.318  228
31.98  2.799  1000
33.58  2.668  625
46.28  1.962  271
47.81  1.902  306
49.52  1.841  245

Structure:
Cell: 4.3711 7.2929 8.0154 Å, 90.00 92.76 90.00°
Positions (direct):
Cu 0.0022 0.2500 0.1588
Cu 0.9978 0.7500 0.8412
Au 0.5000 0.0000 0.5000
Au 0.5000 0.5000 0.5000
Se 0.3950 0.5015 0.1885
Se 0.3950 0.9985 0.1885
Se 0.6050 0.0015 0.8115
Se 0.6050 0.4985 0.8115
S 0.0898 0.7500 0.1276
S 0.1786 0.7500 0.5749
S 0.8214 0.2500 0.4251
S 0.9102 0.2500 0.8724

---

4.
Simulated powder diffractogram
Compound: PaF4
Radiation: Cu Kα (weighted mean of Kα1 and Kα2)
Structure: a GGA-PBE-relaxed structure

Main lines, in order of rising 2θ (2θ = 10–90°):
two_theta  d [Å]  I (rel.)
24.75  3.597  1000
25.37  3.511  498
36.18  2.483  128
43.20  2.094  279
44.33  2.043  538
50.76  1.798  196
56.02  1.641  142
58.50  1.578  120
68.53  1.369  118
69.92  1.345  126

Structure:
Cell: 4.9655 4.9655 5.2176 Å, 90.00 90.00 90.00°
Positions (direct):
Pa 0.0000 0.0000 0.0000
Pa 0.5000 0.5000 0.5000
F 0.1485 0.2656 0.3372
F 0.2344 0.3515 0.8372
F 0.2656 0.8515 0.6628
F 0.3515 0.7656 0.1628
F 0.6485 0.2344 0.1628
F 0.7344 0.1485 0.6628
F 0.7656 0.6485 0.8372
F 0.8515 0.7344 0.3372

---

5.
Simulated powder diffractogram
Compound: ThZr2
Radiation: Cu Kα (weighted mean of Kα1 and Kα2)
Structure: a GGA-PBE-relaxed structure

Main lines, in order of rising 2θ (2θ = 10–90°):
two_theta  d [Å]  I (rel.)
25.97  3.431  253
31.09  2.877  369
33.19  2.699  457
34.54  2.597  704
35.35  2.539  1000
46.11  1.969  248
54.16  1.693  186
60.70  1.526  209
65.02  1.434  215
67.37  1.390  201

Structure:
Cell: 3.2909 5.3988 17.7740 Å, 90.00 90.00 90.00°
Positions (direct):
Th 0.2500 0.2500 0.1972
Th 0.2500 0.7500 0.3032
Th 0.7500 0.2500 0.6968
Th 0.7500 0.7500 0.8028
Zr 0.2500 0.2500 0.5293
Zr 0.2500 0.2500 0.8772
Zr 0.2500 0.7500 0.6224
Zr 0.2500 0.7500 0.9706
Zr 0.7500 0.2500 0.0294
Zr 0.7500 0.2500 0.3776
Zr 0.7500 0.7500 0.1228
Zr 0.7500 0.7500 0.4707

---

6.
Simulated powder diffractogram
Compound: Sm4CI2BrF2
Radiation: Cu Kα (weighted mean of Kα1 and Kα2)
Structure: a GGA-PBE-relaxed structure

Main lines, in order of rising 2θ (2θ = 10–90°):
two_theta  d [Å]  I (rel.)
10.04  8.811  338
11.05  8.004  946
23.85  3.732  285
29.44  3.034  221
30.42  2.938  632
32.39  2.764  1000
34.51  2.599  302
35.67  2.517  233
42.62  2.121  294
47.26  1.923  229

Structure: